What to do:
Please find "0.81335 0.220" and "1.61447 0.128" in the notes underneath, and restate these two lines and those between.

Given:
1.
One molecule with the formula C25H27NO7 in a non-equilibrium geometry. Source: the Open Molecules 2025 dataset; level of theory: ωB97M-V with the def2-TZVPD basis set.

Structure (XYZ):
```
60
Properties=species:S:1:pos:R:3:nbo_charge:R:1
C -2.13971 -3.45600 -2.77842 -0.614
H -1.11580 -3.56398 -2.43164 0.206
H -2.12737 -3.28354 -3.85137 0.213
H -2.66877 -4.38550 -2.58056 0.207
C -2.83136 -2.29049 -2.07204 -0.211
N -2.94300 -2.50491 -0.64371 -0.454
C -1.96020 -2.31587 0.27228 0.695
O -2.13482 -2.56904 1.45082 -0.647
C -0.61564 -1.80118 -0.22012 -0.502
H 0.03996 -2.66947 -0.33234 0.239
H -0.67738 -1.28984 -1.17522 0.228
C 0.00814 -0.86826 0.82728 -0.295
C -0.71933 0.45014 0.99430 0.095
C -0.15297 1.39522 1.84186 -0.240
C -0.72649 2.64297 2.06349 -0.255
C -1.90144 2.91269 1.40643 0.213
C -2.48539 1.96841 0.56614 0.306
C -1.91757 0.73884 0.34075 -0.310
H -2.40401 0.04494 -0.31854 0.220
O -3.65251 2.47518 0.05368 -0.490
C -3.76306 3.78262 0.56954 0.238
O -2.68078 4.04284 1.43698 -0.482
H -3.75266 4.50904 -0.26033 0.154
H -4.71044 3.88104 1.12375 0.155
H -0.27360 3.36660 2.72046 0.224
H 0.76924 1.15382 2.34918 0.209
C 1.45236 -0.59290 0.47700 -0.064
C 1.76866 0.18359 -0.63693 0.365
C 3.09493 0.49956 -0.97204 -0.253
C 4.13778 -0.00003 -0.16246 0.446
C 3.83396 -0.78447 0.93413 -0.437
C 2.50482 -1.07889 1.25800 0.353
O 2.15229 -1.83331 2.32498 -0.488
C 3.14604 -2.34986 3.17685 -0.251
H 2.60782 -2.90252 3.94504 0.209
H 3.81796 -3.03275 2.64730 0.177
H 3.72883 -1.55253 3.64890 0.177
H 4.62628 -1.17048 1.55205 0.227
O 5.39381 0.34073 -0.54191 -0.505
C 6.48481 -0.11618 0.22157 -0.253
H 7.37166 0.28315 -0.26759 0.205
H 6.53932 -1.20920 0.23026 0.179
H 6.44059 0.25762 1.24912 0.179
C 3.31740 1.32377 -2.11594 -0.098
C 2.27577 1.76294 -2.85022 -0.340
C 0.91373 1.40074 -2.51204 0.739
O -0.07418 1.71020 -3.13308 -0.571
O 0.74200 0.62370 -1.39719 -0.472
H 2.39834 2.38769 -3.71956 0.234
H 4.33578 1.57954 -2.36588 0.232
H -0.02064 -1.39227 1.78796 0.272
C -4.22763 -2.98564 -0.16148 -0.217
C -5.20404 -1.83539 0.06752 -0.616
H -6.15551 -2.22094 0.42388 0.211
H -4.79975 -1.15594 0.81335 0.220
H -5.37619 -1.27797 -0.85106 0.199
H -4.63202 -3.69834 -0.88533 0.185
H -4.04654 -3.50169 0.78367 0.238
H -2.30296 -1.35855 -2.28935 0.208
H -3.84464 -2.18250 -2.46560 0.205
```

Properties
Gap between HOMO and LUMO ... 7.85 eV
Total energy ... -42185.360 eV
SMILES ... CCN(CC)C(=O)C[C@H](c1ccc2c(c1)OCO2)c1c(OC)cc(OC)c2ccc(=O)oc12
Energy relative to the best compared isomer or geometry (same formula, charge and spin) ... 145.0 kJ/mol

=====

2.
C25H28AsCrF3NO4PSSe as an isolated structure. Source: the Open Molecules 2025 dataset; level of theory: ωB97M-V with the def2-TZVPD basis set.

Structure (XYZ):
```
66
Properties=species:S:1:pos:R:3:mulliken_spin:R:1
Cr 1.31107 0.34557 0.13283 3.186
S 0.45033 -1.29450 -1.37510 -0.018
C 1.84187 -2.14577 -2.01647 0.009
C 1.90786 -2.39562 -3.39667 0.005
C 2.99516 -3.06889 -3.90897 0.000
C 4.00761 -3.47688 -3.04583 0.000
C 3.85178 -3.19369 -1.70131 0.000
N 2.79987 -2.56247 -1.18697 -0.003
H 1.11067 -2.04095 -4.03532 0.000
H 3.06206 -3.26547 -4.97285 0.000
H 4.88823 -3.99394 -3.40162 0.000
H 4.61531 -3.49220 -0.98860 0.000
F -7.41262 -0.77692 3.84177 0.000
C -6.70455 0.32619 4.16684 -0.001
F -7.46641 1.37492 3.78411 0.000
F -6.64884 0.36587 5.50905 0.000
C -5.35640 0.34098 3.52434 0.012
C -5.27770 0.21971 2.14002 -0.007
C -4.04784 0.23289 1.51629 0.016
C -2.86764 0.36437 2.26304 -0.036
C -2.96679 0.48632 3.65298 0.021
C -4.19985 0.47306 4.27885 -0.005
C -1.60009 0.36984 1.61447 0.128
C -0.51269 0.35734 1.06301 -0.243
H -6.18116 0.11434 1.55277 0.000
H -3.97650 0.13393 0.44162 0.001
H -2.06064 0.59241 4.23312 0.000
H -4.26164 0.56729 5.35416 0.000
C 3.52978 -2.46597 2.08619 -0.002
As 1.91321 -1.41805 1.87126 0.007
C 0.58623 -2.83612 1.95888 0.000
C 1.77619 -0.62828 3.64242 -0.003
H 3.45829 -3.01631 3.02670 -0.003
H 4.38155 -1.79104 2.09656 0.000
H 3.60353 -3.15794 1.25219 0.003
H 0.57237 -3.26756 2.96118 -0.002

Completed:
H -4.79975 -1.15594 0.81335 0.220
H -5.37619 -1.27797 -0.85106 0.199
H -4.63202 -3.69834 -0.88533 0.185
H -4.04654 -3.50169 0.78367 0.238
H -2.30296 -1.35855 -2.28935 0.208
H -3.84464 -2.18250 -2.46560 0.205
```

Properties
Gap between HOMO and LUMO ... 7.85 eV
Total energy ... -42185.360 eV
SMILES ... CCN(CC)C(=O)C[C@H](c1ccc2c(c1)OCO2)c1c(OC)cc(OC)c2ccc(=O)oc12
Energy relative to the best compared isomer or geometry (same formula, charge and spin) ... 145.0 kJ/mol

=====

2.
C25H28AsCrF3NO4PSSe as an isolated structure. Source: the Open Molecules 2025 dataset; level of theory: ωB97M-V with the def2-TZVPD basis set.

Structure (XYZ):
```
66
Properties=species:S:1:pos:R:3:mulliken_spin:R:1
Cr 1.31107 0.34557 0.13283 3.186
S 0.45033 -1.29450 -1.37510 -0.018
C 1.84187 -2.14577 -2.01647 0.009
C 1.90786 -2.39562 -3.39667 0.005
C 2.99516 -3.06889 -3.90897 0.000
C 4.00761 -3.47688 -3.04583 0.000
C 3.85178 -3.19369 -1.70131 0.000
N 2.79987 -2.56247 -1.18697 -0.003
H 1.11067 -2.04095 -4.03532 0.000
H 3.06206 -3.26547 -4.97285 0.000
H 4.88823 -3.99394 -3.40162 0.000
H 4.61531 -3.49220 -0.98860 0.000
F -7.41262 -0.77692 3.84177 0.000
C -6.70455 0.32619 4.16684 -0.001
F -7.46641 1.37492 3.78411 0.000
F -6.64884 0.36587 5.50905 0.000
C -5.35640 0.34098 3.52434 0.012
C -5.27770 0.21971 2.14002 -0.007
C -4.04784 0.23289 1.51629 0.016
C -2.86764 0.36437 2.26304 -0.036
C -2.96679 0.48632 3.65298 0.021
C -4.19985 0.47306 4.27885 -0.005
C -1.60009 0.36984 1.61447 0.128